# Entries
____________
No. 1
{
  "formula": "C50H46CdCl3N9O8S",
  "method": "ωB97M-V/def2-TZVPD",
  "symbols": ["Cd", "C", "C", "C", "C", "C", "C", "N", "C", "C", "C", "C", "C", "C", "N", "N", "C", "C", "C", "C", "C", "N", "H", "H", "H", "H", "H", "H", "H", "H", "H", "H", "H", "H", "H", "O", "C", "O", "C", "C", "N", "N", "C", "C", "O", "O", "H", "H", "H", "Cl", "C", "Cl", "C", "O", "O", "H", "C", "C", "C", "C", "C", "O", "C", "C", "C", "C", "C", "C", "Cl", "C", "C", "C", "N", "C", "N", "C", "N", "H", "H", "H", "H", "H", "H", "H", "H", "H", "H", "H", "H", "H", "H", "H", "H", "H", "H", "H", "H", "H", "H", "C", "C", "O", "S", "C", "C", "C", "C", "C", "C", "C", "C", "H", "H", "H", "H", "H", "H", "H"],
  "xyz": [[1.0094, 0.2221, 0.1855], [4.9384, 0.4706, 4.0086], [4.1586, 1.5604, 3.6371], [3.6286, 1.6458, 2.3609], [3.8519, 0.6469, 1.3996], [4.6200, -0.4582, 1.8016], [5.1531, -0.5392, 3.0791], [3.2369, 0.7698, 0.1465], [3.9203, 0.4568, -0.9936], [5.3222, 0.2330, -1.0564], [5.9815, -0.0663, -2.2342], [5.2965, -0.1547, -3.4407], [3.9436, 0.1487, -3.4312], [3.2772, 0.4715, -2.2628], [1.9113, 0.9766, -2.4173], [0.9403, 0.2175, -3.1335], [0.8025, -0.9970, -2.6613], [0.0438, -1.9518, -3.4314], [0.1205, -3.2727, -3.1141], [0.8755, -3.6922, -1.9904], [1.4268, -2.7107, -1.1985], [1.3774, -1.3976, -1.4751], [5.3548, 0.4001, 5.0065], [3.9455, 2.3450, 4.3548], [2.9934, 2.4819, 2.0994], [4.7475, -1.2835, 1.1136], [5.7276, -1.4154, 3.3593], [5.9002, 0.3242, -0.1489], [7.0547, -0.2284, -2.2092], [5.8060, -0.4053, -4.3628], [3.3668, 0.1506, -4.3504], [-0.5215, -1.5862, -4.2786], [-0.4086, -4.0042, -3.7169], [0.9850, -4.7363, -1.7313], [1.9287, -2.9666, -0.2710], [-1.5441, 5.6796, 2.0910], [-0.3035, 5.8797, 1.7228], [0.2745, 6.9348, 1.9244], [0.4073, 4.7611, 1.0387], [1.7193, 4.8484, 0.6233], [2.0431, 3.6595, 0.0982], [1.0371, 2.7956, 0.1279], [0.0305, 3.4263, 0.7025], [-1.2565, 2.6510, 0.8289], [-2.2473, 3.2512, 1.3301], [-1.2362, 1.4806, 0.4094], [-1.8862, 4.7198, 1.8294], [2.4020, 5.6814, 0.6709], [2.9187, 3.3552, -0.2966], [2.6242, -2.8090, 4.5656], [1.4944, -1.4810, 4.2541], [-0.1346, -1.9155, 4.8524], [1.3811, -1.0992, 2.7454], [0.9579, 0.0803, 2.5761], [1.6927, -1.9378, 1.8963], [1.8234, -0.6203, 4.8213], [-1.1161, -4.7295, 2.3204], [-2.0827, -5.5357, 1.4383], [-2.2203, -6.9365, 2.0605], [-1.4458, -5.7292, 0.0553], [-3.5085, -4.8758, 1.3077], [-4.3943, -5.8049, 0.6571], [-4.0761, -4.5039, 2.6972], [-5.6126, -4.3280, 2.7883], [-6.2185, -3.0022, 2.3827], [-5.9360, -1.8329, 3.0826], [-6.4857, -0.6175, 2.7064], [-7.3398, -0.5680, 1.6163], [-8.0336, 0.9486, 1.1317], [-7.6496, -1.7161, 0.9089], [-7.0875, -2.9240, 1.2996], [-3.5401, -3.6945, 0.3136], [-2.6447, -2.5982, 0.6050], [-1.6275, -2.1587, -0.1531], [-0.9928, -1.1970, 0.4669], [-1.7016, -1.0362, 1.6185], [-2.7087, -1.8677, 1.7436], [-0.1571, -5.2535, 2.3612], [-1.4793, -4.6266, 3.3448], [-0.9092, -3.7333, 1.9355], [-1.2229, -7.3507, 2.2207], [-2.7563, -7.6217, 1.3983], [-2.7191, -6.9163, 3.0320], [-0.5700, -6.3764, 0.1488], [-1.0979, -4.7865, -0.3664], [-2.1463, -6.1989, -0.6402], [-4.5538, -6.5310, 1.2683], [-3.5737, -3.6038, 3.0473], [-3.8268, -5.3150, 3.3843], [-5.8815, -4.5023, 3.8340], [-6.0928, -5.1123, 2.2017], [-5.2569, -1.8653, 3.9274], [-6.2332, 0.2933, 3.2340], [-8.3163, -1.6614, 0.0578], [-7.3244, -3.8245, 0.7426], [-4.5658, -3.3370, 0.2485], [-3.2559, -4.0657, -0.6677], [-1.3733, -2.5711, -1.1190], [-1.4574, -0.2946, 2.3591], [1.5989, 8.1425, -6.7355], [1.8012, 9.4133, -5.9501], [1.7175, 10.5108, -6.4442], [2.2093, 9.3129, -4.2173], [2.1128, 7.5900, -3.8053], [3.2827, 6.8552, -3.6348], [3.2209, 5.5085, -3.3260], [1.9859, 4.8506, -3.1886], [0.8157, 5.6173, -3.3222], [0.8815, 6.9658, -3.6183], [1.9396, 3.4621, -2.9186], [1.8958, 2.2769, -2.6787], [1.6311, 8.3903, -7.7950], [0.6278, 7.7070, -6.5014], [2.3569, 7.4006, -6.4912], [4.2407, 7.3446, -3.7611], [4.1287, 4.9312, -3.2040], [-0.1413, 5.1349, -3.1690], [-0.0274, 7.5510, -3.6941]],
____________

# Activity
Type out the rows further above word for word.

# Reply
No. 1
{
  "formula": "C50H46CdCl3N9O8S",
  "method": "ωB97M-V/def2-TZVPD",
  "symbols": ["Cd", "C", "C", "C", "C", "C", "C", "N", "C", "C", "C", "C", "C", "C", "N", "N", "C", "C", "C", "C", "C", "N", "H", "H", "H", "H", "H", "H", "H", "H", "H", "H", "H", "H", "H", "O", "C", "O", "C", "C", "N", "N", "C", "C", "O", "O", "H", "H", "H", "Cl", "C", "Cl", "C", "O", "O", "H", "C", "C", "C", "C", "C", "O", "C", "C", "C", "C", "C", "C", "Cl", "C", "C", "C", "N", "C", "N", "C", "N", "H", "H", "H", "H", "H", "H", "H", "H", "H", "H", "H", "H", "H", "H", "H", "H", "H", "H", "H", "H", "H", "H", "C", "C", "O", "S", "C", "C", "C", "C", "C", "C", "C", "C", "H", "H", "H", "H", "H", "H", "H"],
  "xyz": [[1.0094, 0.2221, 0.1855], [4.9384, 0.4706, 4.0086], [4.1586, 1.5604, 3.6371], [3.6286, 1.6458, 2.3609], [3.8519, 0.6469, 1.3996], [4.6200, -0.4582, 1.8016], [5.1531, -0.5392, 3.0791], [3.2369, 0.7698, 0.1465], [3.9203, 0.4568, -0.9936], [5.3222, 0.2330, -1.0564], [5.9815, -0.0663, -2.2342], [5.2965, -0.1547, -3.4407], [3.9436, 0.1487, -3.4312], [3.2772, 0.4715, -2.2628], [1.9113, 0.9766, -2.4173], [0.9403, 0.2175, -3.1335], [0.8025, -0.9970, -2.6613], [0.0438, -1.9518, -3.4314], [0.1205, -3.2727, -3.1141], [0.8755, -3.6922, -1.9904], [1.4268, -2.7107, -1.1985], [1.3774, -1.3976, -1.4751], [5.3548, 0.4001, 5.0065], [3.9455, 2.3450, 4.3548], [2.9934, 2.4819, 2.0994], [4.7475, -1.2835, 1.1136], [5.7276, -1.4154, 3.3593], [5.9002, 0.3242, -0.1489], [7.0547, -0.2284, -2.2092], [5.8060, -0.4053, -4.3628], [3.3668, 0.1506, -4.3504], [-0.5215, -1.5862, -4.2786], [-0.4086, -4.0042, -3.7169], [0.9850, -4.7363, -1.7313], [1.9287, -2.9666, -0.2710], [-1.5441, 5.6796, 2.0910], [-0.3035, 5.8797, 1.7228], [0.2745, 6.9348, 1.9244], [0.4073, 4.7611, 1.0387], [1.7193, 4.8484, 0.6233], [2.0431, 3.6595, 0.0982], [1.0371, 2.7956, 0.1279], [0.0305, 3.4263, 0.7025], [-1.2565, 2.6510, 0.8289], [-2.2473, 3.2512, 1.3301], [-1.2362, 1.4806, 0.4094], [-1.8862, 4.7198, 1.8294], [2.4020, 5.6814, 0.6709], [2.9187, 3.3552, -0.2966], [2.6242, -2.8090, 4.5656], [1.4944, -1.4810, 4.2541], [-0.1346, -1.9155, 4.8524], [1.3811, -1.0992, 2.7454], [0.9579, 0.0803, 2.5761], [1.6927, -1.9378, 1.8963], [1.8234, -0.6203, 4.8213], [-1.1161, -4.7295, 2.3204], [-2.0827, -5.5357, 1.4383], [-2.2203, -6.9365, 2.0605], [-1.4458, -5.7292, 0.0553], [-3.5085, -4.8758, 1.3077], [-4.3943, -5.8049, 0.6571], [-4.0761, -4.5039, 2.6972], [-5.6126, -4.3280, 2.7883], [-6.2185, -3.0022, 2.3827], [-5.9360, -1.8329, 3.0826], [-6.4857, -0.6175, 2.7064], [-7.3398, -0.5680, 1.6163], [-8.0336, 0.9486, 1.1317], [-7.6496, -1.7161, 0.9089], [-7.0875, -2.9240, 1.2996], [-3.5401, -3.6945, 0.3136], [-2.6447, -2.5982, 0.6050], [-1.6275, -2.1587, -0.1531], [-0.9928, -1.1970, 0.4669], [-1.7016, -1.0362, 1.6185], [-2.7087, -1.8677, 1.7436], [-0.1571, -5.2535, 2.3612], [-1.4793, -4.6266, 3.3448], [-0.9092, -3.7333, 1.9355], [-1.2229, -7.3507, 2.2207], [-2.7563, -7.6217, 1.3983], [-2.7191, -6.9163, 3.0320], [-0.5700, -6.3764, 0.1488], [-1.0979, -4.7865, -0.3664], [-2.1463, -6.1989, -0.6402], [-4.5538, -6.5310, 1.2683], [-3.5737, -3.6038, 3.0473], [-3.8268, -5.3150, 3.3843], [-5.8815, -4.5023, 3.8340], [-6.0928, -5.1123, 2.2017], [-5.2569, -1.8653, 3.9274], [-6.2332, 0.2933, 3.2340], [-8.3163, -1.6614, 0.0578], [-7.3244, -3.8245, 0.7426], [-4.5658, -3.3370, 0.2485], [-3.2559, -4.0657, -0.6677], [-1.3733, -2.5711, -1.1190], [-1.4574, -0.2946, 2.3591], [1.5989, 8.1425, -6.7355], [1.8012, 9.4133, -5.9501], [1.7175, 10.5108, -6.4442], [2.2093, 9.3129, -4.2173], [2.1128, 7.5900, -3.8053], [3.2827, 6.8552, -3.6348], [3.2209, 5.5085, -3.3260], [1.9859, 4.8506, -3.1886], [0.8157, 5.6173, -3.3222], [0.8815, 6.9658, -3.6183], [1.9396, 3.4621, -2.9186], [1.8958, 2.2769, -2.6787], [1.6311, 8.3903, -7.7950], [0.6278, 7.7070, -6.5014], [2.3569, 7.4006, -6.4912], [4.2407, 7.3446, -3.7611], [4.1287, 4.9312, -3.2040], [-0.1413, 5.1349, -3.1690], [-0.0274, 7.5510, -3.6941]],